Marketing Report
Google announces privacy sandbox for Android

### Molecular data that have nothing to do with the entry
- - -
# 1
Below is C43H58FGeN7NaO3Si3 as an isolated structure in a non-equilibrium geometry, with properties calculated with the ωB97M-V functional and the def2-TZVPD basis.

The geometry in ORCA input format:
```
! RIJCOSX wB97M-V def2-TZVPD def2/J DEFGRID3
* xyz 0 2
Na 15.203 13.533 11.881
C 17.323 10.226 16.059
C 17.952 11.468 15.966
C 17.343 12.478 15.284
C 16.035 12.412 14.784
C 15.430 11.087 14.810
C 16.064 10.098 15.518
N 15.397 13.496 14.292
C 15.471 14.671 14.892
C 15.830 14.874 16.247
C 15.448 16.016 16.946
C 14.875 17.130 16.202
C 14.581 17.003 14.883
C 14.947 15.839 14.168
N 14.644 15.655 12.873
N 13.993 16.658 12.266
C 13.664 16.359 11.024
C 12.770 17.242 10.426
C 12.152 16.814 9.302
C 12.345 15.478 8.829
C 13.408 14.783 9.369
N 14.042 15.181 10.480
H 17.919 9.358 16.378
H 18.913 11.651 16.388
H 17.814 13.417 15.104
H 14.428 10.880 14.453
H 15.525 9.149 15.684
H 16.530 14.193 16.777
H 15.553 16.075 18.021
H 14.695 18.026 16.729
H 14.171 17.817 14.280
H 12.499 18.146 10.969
H 11.445 17.503 8.798
H 11.715 15.058 8.038
H 13.822 13.891 8.926
F 20.963 13.902 10.456
C 20.507 12.653 10.183
C 19.166 12.653 10.026
C 18.527 11.388 9.958
C 17.082 11.223 10.163
O 16.403 12.102 10.680
C 16.587 9.840 9.862
C 17.442 8.841 9.528
N 18.805 9.007 9.464
C 19.623 7.849 9.194
C 20.531 7.813 8.051
C 19.215 6.934 8.064
C 19.380 10.222 9.810
C 20.787 10.286 9.993
C 21.421 11.517 10.298
N 22.750 11.674 10.471
C 23.227 12.752 11.388
C 24.175 12.247 12.501
N 25.160 11.220 12.086
C 24.397 10.078 11.430
C 23.686 10.587 10.212
C 15.155 9.468 9.987
O 14.842 8.261 10.257
O 14.207 10.304 9.794
H 18.552 13.556 9.939
H 17.051 7.829 9.457
H 19.997 7.322 10.113
H 21.431 7.212 8.307
H 20.472 8.708 7.386
H 19.398 5.845 8.203
H 18.411 7.142 7.340
H 21.342 9.341 10.142
H 22.486 13.379 11.875
H 23.734 13.438 10.734
H 23.529 11.838 13.349
H 24.724 13.121 12.915
H 25.625 10.803 12.944
H 25.900 11.575 11.462
H 23.738 9.678 12.250
H 25.130 9.282 11.143
H 23.218 9.752 9.633
H 24.449 11.069 9.526
C 14.177 6.094 12.241
Si 12.629 7.151 12.127
C 11.098 6.174 11.840
C 12.603 8.282 13.691
Ge 12.862 8.486 10.160
Si 12.484 7.216 8.036
C 13.879 7.619 6.851
C 10.797 7.807 7.293
C 12.421 5.360 8.307
Si 11.344 10.391 10.386
C 11.415 11.409 8.768
C 9.691 9.576 10.527
C 11.673 11.389 11.973
H 15.069 6.733 12.259
H 14.210 5.375 11.446
H 14.227 5.643 13.213
H 11.019 5.930 10.789
H 10.213 6.702 12.135
H 11.146 5.212 12.396
H 12.631 7.517 14.495
H 11.637 8.837 13.703
H 13.439 8.938 13.704
H 14.259 8.608 6.963
H 13.507 7.497 5.845
H 14.686 6.886 6.964
H 10.928 8.715 6.732
H 9.959 7.945 7.979
H 10.530 6.979 6.564
H 13.343 5.021 8.749
H 12.469 4.920 7.324
H 11.524 5.014 8.851
H 12.431 11.858 8.665
H 10.603 12.086 8.678
H 11.347 10.633 7.987
H 9.086 10.039 9.742
H 9.324 9.843 11.492
H 9.709 8.461 10.512
H 10.736 11.622 12.512
H 12.061 12.334 11.744
H 12.368 10.846 12.703
*
```

Output
Electronic energy (eV): -149384.731
Frontier orbital gap (alpha / beta) (eV): 3.3763 / 5.6988


# 2
- - -
### The molecular data stop here

Google announces privacy sandbox for Android

Google has revealed plans to expand its Privacy Sandbox to the Android mobile operation system as part of efforts it says will improve user privacy following a similar move made by Apple last year to limit consumer tracking on mobile devices.

Google’s existing Privacy Sandbox initiatives only included the Chrome ecosystem. With this latest announcement Google is extending this to the Android ecosystem.

In a blog post earlier this week, Google said that it is beginning: a multi-year initiative to build the Privacy Sandbox on Android with the goal of developing effective and privacy enhancing advertising solutions, where users know their information is protected, and developers and businesses have the tools to succeed on mobile.

The solutions the company is looking at will limit sharing of user data with third parties and operate without cross-app identifiers, including advertising ID. The company also said it is exploring technologies to reduce the potential for covert data collection, including safer ways for apps to integrate with advertising SDKs.

At the moment, Android devices are assigned a unique identifier known as an ‘advertising ID’ which is used to create a profile and track users across different apps on mobile to serve personalised ads. Google began adding privacy measures around the advertising ID last year to give users more control, allowing them the option to have their unique identifier removed from the system. The latest announcement indicates that in the coming years there will be a new system to provide data for advertisers while still improving privacy, however what exact form that will take is still unclear.

Based on the current outline of proposals, Google appears to potentially be looking at aligning with work it has been doing with Chrome, including Topics (the recently announced replacement for FloC) and FLEDGE a system to target custom audiences without the need to share user data with third parties.

Google stated that whilst it builds and test new solutions it will support existing ad platform features for at least two years. It will also provide substantial notice ahead of any future changes and says that it wants to work with the industry on the new system.

This announcement is a further indication that the industry is moving toward greater privacy for the consumer and to a world where advertisers shouldn't assume they will have access to all customer’s digital data.
